Dr Robert Boyle can be heard talking about how you are more likely to be murdered than die from anaphylaxis on Inside Health which features adrenaline auto-injectors and their suitability for general use. I have written about this before a while ago when Dr Boyle published his research in 2013 comparing allergy death to murder.
Read ‘Delighted to hear that food allergy death is less likely than murder’, here.
He has already faced my wrath, and he is still using using similar analogies.
You can read Dr Boyle’s research here in Dying from a food allergy is less likely than murder on the Imperial College website.
Quite frankly comparing the whole population with the likelihood of being murdered in the first place is pretty pointless.
We don’t go around worrying about being murdered, unless let’s say, we live in the Bronx, we are drug dealers, being stalked or have previous been attacked and threatened with murder. In these circumstances, yes someone might fear murder but the vast majority of the human race does not live in fear of murder. I don’t give murder a moment’s thought from one year to the next.
But if you look at anaphylactic attacks as an ‘attack’ on your life you can compare it with murder. Someone who has had an attack on their life would live in fear.
Living in fear or anaphylaxis
I live in fear of my particular assassins on a daily basis when I leave my house. Their names are nut, dairy and soya – these boys put me in A&E fighting for my life. They attack about every 1-2 years with a few minor attacks in between which I get away with less scathed because my allergy is dose related so if it’s only a tiny bit I might be lucky enough to get away with just a body full of hives and a slap in the wrist from my specialist.
The other allergies just leave me cut and bruised. Celery, wheat and tomato just beat me up every now and then and leave me in pain with the damaged skin to show for it.
So if you look at the number of deaths from anaphylaxis divided by the number of people with anaphylaxis who carry adrenaline you get to a true figure and it’s much higher than your risk of being murdered.
The risk of anaphylaxis vs being murdered
If you don’t have allergies and are not at risk of anaphylaxis you are very unlikely to have an anaphylactic attack – I would say you’re never going to have one but as they say, never say never. So we should discount all those people who do not live with the fear of anaphylaxis from our calculations.
Just as you would discount most of the population of living with fear of murder because we don’t fear this. It’s just very unlikely to happen to us. It is known. (Had to get a Game of Thrones reference in there somewhere… not sure why…)
Every exposure to an allergen which causes an allergic reaction is an ‘attack’ on the body. It certainly feels like one! And some say every exposure leads to a more serious attack. Our attacker gets better at hurting us. It wants to kill us.
So, to get a percentage for the likelihood of dying from anaphylaxis we would divide the number of deaths from anaphylaxis in the UK per year which is 20 by the number of people who have been diagnosed with a life threatening allergy, which is 200,000.
This gives us…0.01% of people who have life threatening allergies in the UK who will die from anaphylaxis. A very small percentage. So when we see this our fear is slightly less.
If you then compare that to the likelihood of being murdered and you base this on the fact that only 11 people out of 1 million are murdered in the UK every year you can see already that it’s a tiny percentage compared to the allergic community who may have a fatal allergic reaction.
i.e. 11 in 1 000 000 = (11/1000 000)x100% = 0.0011%.
So basically you are 100 times more likely to die from anaphylaxis than you are to be murdered. I’m not writing this to make your more scared I’m writing it to dispel this ridiculous comparison with being murdered.
And looking at it like this I have no idea how Dr Robert Boyle actually justified his statistics.
If hospitals admissions for anaphylaxis were an attack
So, simply put, 0.01% of people with anaphylaxis die each year. It’s not much, but more importantly it’s actually far higher than the number of people who get murdered.
**Next to the article, the page also holds calculated crystals**
____________
--- A ---
GGA+U MgMn2O4, relaxed; symmetry = P1
1.0
-0.2796 -0.8297 3.1742
8.2380 -5.0420 -2.2648
1.2930 1.7735 2.2933
Mg Mn O
1 2 4
Direct
0.5819 0.2129 0.0459 Mg
0.0124 0.5209 0.4974 Mn
0.8217 0.9301 0.2868 Mn
0.1427 0.8813 0.5956 O
0.3802 0.6061 0.8464 O
0.6469 0.4162 0.1226 O
0.8933 0.1450 0.3554 O



--- B ---
GGA+U MgMn2O4, relaxed; symmetry = Cm
1.0
-5.0681 -3.1396 -1.7767
-3.2026 -3.7968 3.7453
-9.6589 10.4250 4.5037
Mg Mn O
6 12 24
Direct
0.1684 0.1684 0.9538 Mg
0.5006 0.5006 0.6247 Mg
0.5007 0.5007 0.9982 Mg
0.8305 0.8305 0.2903 Mg
0.1684 0.1684 0.7105 Mg
0.4999 0.4999 0.3757 Mg
0.1722 0.6712 0.8344 Mn
0.6683 0.6683 0.8333 Mn
0.5002 0.0004 0.5002 Mn
0.6712 0.1722 0.8344 Mn
0.8353 0.8353 0.6674 Mn
0.0001 0.0001 0.5004 Mn
0.8293 0.3277 0.1654 Mn
0.0004 0.5002 0.5002 Mn
0.3277 0.8293 0.1654 Mn
0.1642 0.1642 0.3334 Mn
0.3313 0.3313 0.1678 Mn
0.8332 0.8332 0.0449 Mn
0.3500 0.3500 0.9117 O
0.4969 0.4969 0.7587 O
0.3532 0.8146 0.9091 O
0.8146 0.3532 0.9091 O
0.5311 0.9812 0.7510 O
0.6775 0.6775 0.5758 O
0.9812 0.5311 0.7510 O
0.8389 0.8389 0.9065 O
0.6905 0.1403 0.5819 O
0.8258 0.8258 0.4253 O
0.9900 0.9900 0.7568 O
0.1403 0.6905 0.5819 O
0.8600 0.3095 0.4181 O
0.0091 0.0091 0.2431 O
0.3095 0.8600 0.4181 O
0.1745 0.1745 0.5747 O
0.1587 0.1587 0.0918 O
0.0160 0.4680 0.2485 O
0.3226 0.3226 0.4238 O
0.4680 0.0160 0.2485 O
0.1909 0.6472 0.0918 O
0.5050 0.5050 0.2411 O
0.6472 0.1909 0.0918 O
0.6486 0.6486 0.0891 O



Need the numbers? Relative energies in meV per atom: A 223; B 0.



--- A ---
GGA+U MgMn2O4, relaxed; symmetry = P1
1.0
-1.7876 -1.6599 -1.8899
6.8414 3.8555 -7.3157
0.8344 -2.8764 -0.7412
Mg Mn O
1 2 4
Direct
0.8541 0.2786 0.5803 Mg
0.0256 0.5414 0.4842 Mn
0.9949 0.9938 0.0013 Mn
0.2738 0.9150 0.3589 O
0.4020 0.6035 0.7988 O
0.5717 0.3571 0.2196 O
0.7320 0.0919 0.6402 O



--- B ---
GGA+U MgMn2O4, relaxed; symmetry = Imma
1.0
-3.0126 3.0128 4.3158
3.0126 -3.0128 4.3158
3.0126 3.0128 -4.3158
Mg Mn O
2 4 8
Direct
0.0000 0.0000 0.5000 Mg
0.0000 0.5000 0.0000 Mg
0.6126 0.8626 0.7500 Mn
0.3874 0.1374 0.2500 Mn
0.5000 0.5000 0.0000 Mn
0.0000 0.5000 0.5000 Mn
0.2550 0.2749 0.9801 O
0.2474 0.2780 0.5306 O
0.7948 0.2749 0.5199 O
0.2474 0.7169 0.9694 O
0.7526 0.2831 0.0306 O
0.7526 0.7220 0.4694 O
0.2052 0.7251 0.4801 O
0.7450 0.7251 0.0199 O



Need the numbers? Relative energies in meV per atom: A 281; B 0.



--- A ---
GGA+U Ba2CaV2Si4O14, relaxed; symmetry = P1
1.0
-0.0155 0.0289 5.7007
7.6537 -0.9719 -0.0222
-1.0749 7.8819 -2.8636
Ba Ca V Si O
2 1 2 4 14
Direct
0.8469 0.6869 0.6656 Ba
0.1956 0.3201 0.3788 Ba
0.2197 0.8912 0.4284 Ca
0.0684 0.5632 0.0998 V
0.8899 0.2026 0.7467 V
0.4116 0.4924 0.7933 Si
0.6170 0.5114 0.2068 Si
0.4260 0.9336 0.8156 Si
0.6232 0.0879 0.2345 Si
0.1263 0.3995 0.6986 O
0.4140 0.6116 0.2925 O
0.1454 0.9837 0.7181 O
0.4226 0.0448 0.3184 O
0.5113 0.5031 0.0017 O
0.5355 0.0018 0.0249 O
0.0146 0.7293 0.9971 O
0.0189 0.3299 0.0107 O
0.3986 0.7028 0.7627 O
0.6395 0.3162 0.2556 O
0.6002 0.3977 0.6984 O
____________
Your adrenaline, (I carry an Emerade) can therefore be seen as your “stab proof vest” and hopefully… it helps.
Last year there were 10 murders per 1,000,000 of the general population, or 2 in 200,000. That’s 10 times less than the death rate for anaphylaxis amongst the 200,000 at risk.
There were 20,000 allergy admissions of which 12,000 were emergencies. So 6% are “attacked” each year of which 0.01% died. And its growing…
So we have just proved that to compare murder with anaphylaxis is nonsense.
Especially since the allergic community are one of the most well educated and dedicated group of people at avoiding their potential allergen or murderer.
We go to great lengths to stay safe from our allergens
Just come for a night out with me to see the lengths I sometimes go to in order to ensure my safety.
Go out for day with an allergy mum taking care of an allergic toddler and fear sky rockets because kids pick things up, put them in their mouths and can’t always tell you how they’re feeling if they have accidentally ingested an allergen.
The number of potential ‘attacks’ the allergic person avoids in one day can be huge and it’s endless. It’s happening all the time. Like a friend with a latex allergy at a party recently arriving only to find balloons everywhere. Lots of little assassins bobbing about in the air.
Imagine if we all went about eating what we wanted and not avoiding our allergens – the death rate would be significantly higher I think.
And if, as Dr Robert Boyle suggests, the likelihood of dying from anaphylaxis is so slim then why do we bother to take so much care? Why even carry adrenaline? Why check that it’s in date? Why learn how to use it? Why bother checking what you’re eating.
This is not what I believe at all, and it’s not for a minute what he’s implying but it’s how I feel when I hear his statement used. I think the reason we are so safe from anaphylaxis is because we carry adrenaline, because we check ever piece of food we eat and live our lives like James Bond, fighting off the baddies at every turn.
So you should be worried if you have anaphylaxis and you should always carry your pen and educate those close to you. Never stop being vigilant. Stay safe and avoid your allergen and you’ll be fine. Easier said than done I know!
In conclusion, a completely pointless comparison
What Dr Robert Boyle was trying to do was to allay some of our natural fears so that we didn’t go around in perpetual terror of coming into contact with our allergen or our child’s allergen.
But we’re not stupid Dr Boyle. Just give us the stats because murder is not relevant. Only 1% of the adult population have life threatening allergies and a mere tiny 0.01% of those will die from anaphylaxis. It’s very rare.
We do get that.
But when you’ve felt your throat tightening or watched your baby go limp after eating something it doesn’t feel like a pointless worry. It feels very, very real. And the feelings you have when you’re having anaphylaxis are exactly that you are going to die. I’ve experienced this myself and been in a complete panic and behaving irrationally because the fight or flight mechanism kicks in. You need to fight this hard and boy does your body fight it. I can sleep for hours and hours after an anaphylactic attack and it takes me days to recover fully.
When someone gets stabbed or attacked doctors are very good at patching them up. But faced with serious anaphylaxis we have only one solution apart from antihistamines as a first line of defense and that’s adrenaline. Doctors don’t fully understand why the body reacts like it does and why some people have a more severe reaction than others. They don’t know why some die.
But they do know exactly why someone dies from a stab wound. And they know what caused it. A knife.
(Materials data from another source follow)
'''
DFT (PBE with a Hubbard U) results for a relaxed structure of Ba2PrWO6.

The spin magnetization comes out at 0.10 μB per atom.

Unit cell a=8.7208 b=8.7208 c=8.7208 alpha=90.00 beta=90.00 gamma=90.00
Space group Fm-3m (No. 225)
One atom of each set of equivalent atoms:
Ba  0.2500  0.2500  0.2500 [8 per cell]
Pr  0.0000  0.0000  0.0000 [4 per cell]
W  0.0000  0.0000  0.5000 [4 per cell]
O  0.0000  0.0000  0.2702 [24 per cell]


DFT (PBE with a Hubbard U) results for a relaxed structure of Ba2PrWO6.

The spin magnetization comes out at 0.10 μB per atom.

Unit cell a=8.7120 b=8.7120 c=8.7120 alpha=90.00 beta=90.00 gamma=90.00
Space group Pn-3 (No. 201, origin choice 2)
One atom of each set of equivalent atoms:
Ba  0.2500  0.2500  0.2500 [2 per cell]
Ba  0.2500  0.2500  0.7500 [6 per cell]
Pr  0.0000  0.0000  0.0000 [4 per cell]
W  0.0000  0.0000  0.5000 [4 per cell]
O  0.0219  0.2302  0.5245 [24 per cell]


DFT (PBE with a Hubbard U) results for a relaxed structure of Ba6V4S11O5.

The spin magnetization comes out at 0.00 μB per atom.

Unit cell a=23.6165 b=14.0796 c=7.6889 alpha=90.00 beta=90.00 gamma=90.00
Space group Pnma (No. 62)
One atom of each set of equivalent atoms:
Ba  0.0425  0.2500  0.1885 [4 per cell]
Ba  0.0737  0.0168  0.7096 [8 per cell]
Ba  0.1505  0.7500  0.2129 [4 per cell]
Ba  0.2244  0.0804  0.0793 [8 per cell]
V  0.0804  0.0055  0.2052 [8 per cell]
V  0.1619  0.7500  0.7003 [4 per cell]
V  0.1661  0.2500  0.5836 [4 per cell]
S  0.0384  0.6170  0.0884 [8 per cell]
S  0.0774  0.2500  0.6517 [4 per cell]
S  0.0771  0.7500  0.5931 [4 per cell]
S  0.1537  0.5388  0.3619 [8 per cell]
S  0.1716  0.2500  0.3016 [4 per cell]
S  0.1764  0.6223  0.8571 [8 per cell]
S  0.2071  0.1232  0.6821 [8 per cell]
O  0.0332  0.0639  0.3383 [8 per cell]
O  0.1038  0.0828  0.0469 [8 per cell]
O  0.2098  0.7500  0.5320 [4 per cell]


DFT (PBE with a Hubbard U) results for a relaxed structure of Ba2ScV3O11.

The spin magnetization comes out at 0.00 μB per atom.

Unit cell a=12.2060 b=7.7453 c=11.5007 alpha=90.00 beta=103.46 gamma=90.00
Space group P2_1/c (No. 14)
One atom of each set of equivalent atoms:
Ba  0.0565  0.2481  0.3900 [4 per cell]
Ba  0.2746  0.7301  0.9438 [4 per cell]
Sc  0.4983  0.5062  0.7573 [4 per cell]
V  0.1879  0.0194  0.1736 [4 per cell]
V  0.1911  0.0190  0.6725 [4 per cell]
V  0.4055  0.2475  0.9745 [4 per cell]
O  0.1111  0.5609  0.7681 [4 per cell]
O  0.1160  0.5648  0.0406 [4 per cell]
O  0.1262  0.5566  0.5356 [4 per cell]
O  0.1310  0.5602  0.2801 [4 per cell]
O  0.1659  0.2504  0.1672 [4 per cell]
O  0.2840  0.1366  0.4455 [4 per cell]
O  0.3271  0.5510  0.7164 [4 per cell]
O  0.3314  0.5453  0.1993 [4 per cell]
O  0.3773  0.0349  0.9714 [4 per cell]
O  0.4841  0.2096  0.3623 [4 per cell]
O  0.4882  0.2020  0.6223 [4 per cell]


DFT (PBE with a Hubbard U) results for a relaxed structure of BaV2SeO8.

The spin magnetization comes out at 0.00 μB per atom.
'''
We’re dealing with the unknown here and allergens hidden in places you least expect them.
It’s completely pointless to try to get us to see that we should not live with fear because we might be more likely to be murdered.
I have seen the paramedics face when they see mine with full blown anaphylaxis. I can see the fear in their eyes too. I have heard them on the phone talking to the hospital. They are scared. They are panicking too. We are all scared.
It is not stupid to be scared. It is not foolish to be scared. Your body is scared. I know if I just smell peanuts my body tells me. I don’t have anaphylaxis just from the smell but I can detect them from quite a distance. I’m on alert. My body is trying to keep me safe.
To compare this fear with the fear or being murdered is utter nonsense.
What do you think?
Does Dr Boyle make your blood boil? (do you see what I did there?)
What comes next are data records, not part of the text >
- - -
No. 1
Entry from Materials Project: a relaxed structure of Mn3CrO8 (PBE with a Hubbard U).

Properties
formation energy: -1.792 eV per atom
MP2020-corrected energy: -392.91 eV per cell
polymorph energy (0 for the lowest one): 0.371 eV/f.u.
VASP energy: -342.91 eV per cell
total magnetic moment: 0.917 μB per atom

Unit cell a=8.2513 b=8.2513 c=8.2513 alpha=90.00 beta=90.00 gamma=90.00
Last column: nearest neighbours and their distance in Å.
Positions (direct):
Mn 0.1260 0.3750 0.3760  6 O 1.94-1.95
Mn 0.3760 0.1260 0.3750  6 O 1.94-1.95
Mn 0.1240 0.8740 0.8750  6 O 1.94-1.95
Mn 0.6250 0.8760 0.3740  6 O 1.94-1.95
Mn 0.3750 0.3760 0.1260  6 O 1.94-1.95
Mn 0.8760 0.3740 0.6250  6 O 1.94-1.95
Mn 0.8750 0.1240 0.8740  6 O 1.94-1.95
Mn 0.1250 0.6240 0.6260  6 O 1.94-1.95
Mn 0.8740 0.8750 0.1240  6 O 1.94-1.95
Mn 0.3740 0.6250 0.8760  6 O 1.94-1.95
Mn 0.6240 0.6260 0.1250  6 O 1.94-1.95
Mn 0.6260 0.1250 0.6240  6 O 1.94-1.95
O 0.6088 0.3920 0.1105  2 Mn 1.94, 1 Cr 1.95
O 0.8609 0.1391 0.6391  3 Mn 1.95
O 0.6420 0.3588 0.6395  2 Mn 1.94, 1 Cr 1.95
O 0.3609 0.3609 0.3609  3 Mn 1.95
O 0.1391 0.6391 0.8609  3 Mn 1.95
O 0.3891 0.6109 0.1109  3 Mn 1.95
O 0.3605 0.1420 0.1412  2 Mn 1.94, 1 Cr 1.95
O 0.1420 0.1412 0.3605  2 Mn 1.94, 1 Cr 1.95
O 0.6080 0.6105 0.8912  2 Mn 1.94, 1 Cr 1.95
O 0.1109 0.3891 0.6109  3 Mn 1.95
O 0.6105 0.8912 0.6080  2 Mn 1.94, 1 Cr 1.95
O 0.8580 0.6412 0.1395  2 Mn 1.94, 1 Cr 1.95
O 0.3920 0.1105 0.6088  2 Mn 1.94, 1 Cr 1.95
O 0.6395 0.6420 0.3588  2 Mn 1.94, 1 Cr 1.95
O 0.3895 0.3912 0.8920  2 Mn 1.94, 1 Cr 1.95
O 0.3580 0.8588 0.8605  2 Mn 1.94, 1 Cr 1.95
O 0.8912 0.6080 0.6105  2 Mn 1.94, 1 Cr 1.95
O 0.8895 0.1088 0.1080  2 Mn 1.94, 1 Cr 1.95
O 0.6391 0.8609 0.1391  3 Mn 1.95
O 0.3912 0.8920 0.3895  2 Mn 1.94, 1 Cr 1.95
O 0.8588 0.8605 0.3580  2 Mn 1.94, 1 Cr 1.95
O 0.8891 0.8891 0.8891  3 Mn 1.95
O 0.8920 0.3895 0.3912  2 Mn 1.94, 1 Cr 1.95
O 0.1088 0.1080 0.8895  2 Mn 1.94, 1 Cr 1.95
O 0.1105 0.6088 0.3920  2 Mn 1.94, 1 Cr 1.95
O 0.6109 0.1109 0.3891  3 Mn 1.95
O 0.6412 0.1395 0.8580  2 Mn 1.94, 1 Cr 1.95
O 0.1412 0.3605 0.1420  2 Mn 1.94, 1 Cr 1.95
O 0.1395 0.8580 0.6412  2 Mn 1.94, 1 Cr 1.95
O 0.3588 0.6395 0.6420  2 Mn 1.94, 1 Cr 1.95
O 0.8605 0.3580 0.8588  2 Mn 1.94, 1 Cr 1.95
O 0.1080 0.8895 0.1088  2 Mn 1.94, 1 Cr 1.95
Cr 0.8750 0.6250 0.3750  6 O 1.95
Cr 0.1250 0.1250 0.1250  6 O 1.95
Cr 0.3750 0.8750 0.6250  6 O 1.95
Cr 0.6250 0.3750 0.8750  6 O 1.95



No. 2
Entry from Materials Project: a relaxed structure of Li7Co5O12 (PBE with a Hubbard U).

Properties
formation energy: -1.679 eV per atom
MP2020-corrected energy: -148.58 eV per cell
polymorph energy (0 for the lowest one): 2.006 eV/f.u.
VASP energy: -132.14 eV per cell
total magnetic moment: 0.083 μB per atom

Unit cell a=2.8996 b=5.1147 c=14.7017 alpha=99.77 beta=93.86 gamma=92.00
Last column: nearest neighbours and their distance in Å.
Positions (direct):
Li 0.9155 0.2608 0.8372  6 O 2.10-2.31
Li 0.5762 0.2422 0.1608  6 O 2.01-2.20
- - -
Here the text continues >
The number of children with allergies is far higher and growing faster than the number of adults so would the likelihood of death be even higher for kids at risk of anaphylaxis? Hopefully not as statistics do show that those in early teens and adulthood do seem to have far more life threatening anaphylactic attacks causing death than children. Doctors don’t know why, or what changes but it seems to be a fact.
Dear Dr Robert Boyle – One day we will meet and I won’t be Mrs Angry Crazy Allergy Woman because I’m really not like that and I will have calmed down by then, but just a word of advice. Stop comparing anaphylaxis to murder. First of all, it’s not helpful and second of all, you can prove anything if you manipulate statistics. Just as I have proved that there is absolutely no point in comparing murder to death from anaphylaxis.
If you want to allay our fears just try to understand us and don’t insult our intelligence. You’ll need to find some other way to help us to live with the fear because murder as a comparison is really not helping. Our potential murderer is still out there and he’s never going to get put away for what he did.
He’ll get away with it yet again and live to attack more and more allergics out there.
There. I said it. Rant over.
I would love to hear from Dr Robert Boyle. Perhaps we could come up with a better ‘allergy analogy‘.
I love that saying, been trying to get that into a blog for months, since I made it up.
One that empowers, not frustrates and incenses us.
One that unites us, not alienates us.
One that really does help us feel less fear because this is scary stuff.
Do you agree? Or do you love the murder vs anaphylaxis analogy?
See: https://www.allergyuk.org for some allergy statistics.
Perhaps he should define murder. Into his equation, he should add the SLOW death of the chemically sensitive. Figure in the doctors..ahem..legal drug pushers, that launch attack after attack on the body whilst making profit from the drug manufacturer. And perhaps he would like to define life itself. Is half living or being on your ass for days after an onslaught of chemical warfare (legal, of course) to be considered ‘life’. But mostly, I think he needs to understand that just because murder is an immediate and debiliiting allergies are slow; death is death. Chances are the murdered might have had a full life until the death. I, for one, suffer from asthma/allergies/chemical sensitivities and have since birth. I do not feel I have lived a full life. And lastly, I don’t appreciate yet another coat thinking they’re qualified to make such a statement.
Hi Heath. I hadn’t even thought to include quality of life in this. Just today a doctor described eczema as a life sentence. That is what allergies, asthma and eczema feels like sometimes. Today I’ve had a pretty good day but on the bad days it’s so hard to stay positive. Thanks for your comment. I’m trying to get a response from Dr Boyle himself. So far not been able to contact him.
The difference is anaphylactic death is preventable and murder largely isn’t.
If anaphylactic death was preventable no one would die from anaphylaxis but unfortunately we know that some do. Adrenaline can save lives but doctors don’t understand why some people still die from anaphylaxis, despite having adrenaline.
Well, let’s just level the field again. Much of murder is preventable. Don’t deal with drug dealers..don’t wind up dead. Don’t deal with loan sharks..don’t wind up dead. Rap star gang members murdered all the time because that’s how they choose to live.
I agree Heath, we behave sensibly without even thinking about it. We lead sensible lives, keep sensible company, don’t carry guns (in England anyway) and make safe choices when travelling. It’s not so easy planning to stay safe with allergies. It involves seriously modifying your life to stay safe.